Sprache: englischTHE DRUGS PEACE MARCH - 24 August/5 September 1995.
The Drugs Peace March is an activity undertaken by european antipro-
hibitionist organizations with the aim to put the reform of the
international drug laws prominently on the political agenda of the
European institutions.
The March is meant to propose in Brussels, as well as on the local
level - in towns where it passes - the revision of the United Na-
tions Conventions on drugs. On the local level more specific issues
of national interest, will be addressed by local organizations and
The March is hoped to enhance the unity and the cooperation between
the different antiprohibitionist traditions in Europe by means of
discussions and debate, specifically tailored to the event. The goal
of the March is to foster tolerance by european citizens towards
their peers, "users" of illicit drugs, through presentation of
positive images of them.
To this end it is also proposed that the March be an expression of
the general preoccupation in the world with the atrcious war in Bos-
nia. Indeed, a responsible european drug policy can only be elabora-
ted in a free and united Europe. We therefore propose also to demon-
strate for an end to this war in former Yougoslavia, as "Europe will
either die or be reborn in Sarajevo". We therefore propose to
demonstrate in favor of the initiative of the Transnational Radical
Party - already endorsed by 600 european parlementarians - for the
immediate adhesion of Bosnia-Herzegovina to the European Union.
Another particular focus of the March concerns the fate of the
cocaleros from the Andes region. These producers of the coca leaf
are subjected to a very brutal repression, in particular in Bolivia.
Due to the permanent pressure exercised by the United States, the
Bolivian government has again incarcerated leaders of the cocaleros
unions, including their president, Evo Morales Ayma, drugspacifist
nominated to the 1995 Nobel Peace Prize. The Bolivian government
moreover militarizes at high speed the Chapare region, in order to
be able to guarantee the forced eradication of thousands of hectares
of cocacrop. The protection of the means of survival of tens of
thousands of small scale coca farmers is an absolute priority for
any drugs peace movement pretending to be universal.
Practical information
The Drugs Peace March offers 2 formulas : a 'short duration' one and
the other 'long duration'.
The 'long duration' March (1) of 12 days starts on August 24th in
Deal (England) and passes the Canal the next day where the Brittish
participants will be met in Calais by their continental colleagues.
At a rhythm of 25 km a day the March walks to Brussels.
The 'short duration' March in reality consists of 5 marches that
start on September 2nd in London (2), Amsterdam (3), Bonn (4),
Luxemburg (5) and Paris (6) and join the others in Brussels on
September 4th.
The complete calendar for the Drugs Peace March is as follows :
Thursday August 24 : 1. Deal, Dover
Friday 25 : 1. Dover, Calais
Saturday 26 : 1. Calais, Ardres, Nordausques.
Sunday 27 : 1. Nordausques, St Omer, Racquinghem.
Monday 28 : 1. Racquinghem, Aires-sur-Lys, Lillers.
Tuesday 29 : 1. Lillers, Béthune, La Bassée.
Wednesday 30 : 1. La Bassée, Loos-les-Lille, Lille.
Thursday 31 : 1. Lille, Baissieux (border), Doornik.
Friday September 1 : 1. Tournai, La Tombe, Wattripont.
Saturday 2 : 1. Wattripont, Ronse, Nederbrakel.
2/6.: assemble and actions in London,
Amsterdam, Bonn, Luxemburg and Paris.
Sunday 3 : 1. Nederbrakel,Ophasselt,Ninove. 2. Lon-
don,Kortrijk. 3. Amsterdam,The Hague.
4. Bonn, Maastricht. 5. Luxemburg,
Luik. 6. Parijs, Ghent.
Monday 4 : 1. Ninove,Eizeringen,Schepdal, Brussels.
2. Kortrijk, 3.The Hague, 4. Maastricht,
5. Liege and 6. Gent.
Tuesday 5 : 1/6. demonstrations in Brussels.
March 'short duration', per day :
1. a gathering of the different local antiprohibitionist groups and
their foreign guests,eventually followed by a demonstration/rally
and/or party and/or a forum for an exchange of ideas.
2. presentation of an Address to the foremost christian religions in
the European capitals : anglican, catholic, lutheran and reformed
Next to the text, the page also holds molecular data
-- begin --
1.
Formula: C43H47Br2N5O2STi
Source: OMol25
Level of theory: wB97M-V/def2-TZVPD

E_LUMO	0.009	hartree
gap between HOMO and LUMO	8.2	eV
relative energy (zero: lowest compared OMol25 entry of this formula, charge and spin)	0.0	kcal/mol
multiplicity	1
net charge	0

Each line ends with the Mulliken charge.
CARTESIAN COORDINATES (ANGSTROEM)
C: -2.51619 -3.01934 -4.06373  -0.9893
C: -2.46094 -2.09417 -5.09760  -0.7868
C: -1.38414 3.38181 0.40203  -0.8981
H: 1.94504 0.27370 -6.61588  0.4000
C: 0.44644 -2.77268 -0.94204  -0.4388
H: -5.81024 1.65142 2.42422  0.4126
H: -1.97074 -2.64215 -0.02301  1.3453
H: 2.42740 -4.10822 6.20665  0.3897
C: 1.85230 4.40730 -1.99891  -0.3351
H: -2.48301 -2.42527 -6.12763  0.4174
H: 1.86542 6.50067 -2.42633  0.4219
H: -2.58462 -4.07696 -4.28453  0.4536
H: -1.00825 -0.58664 3.22681  -0.1373
C: 2.38047 -3.97599 5.12421  -0.6994
H: 3.99951 1.32214 -3.01597  0.3903
C: 1.84110 1.96015 -1.48918  2.3563
H: 1.35798 -4.16754 4.80396  0.3626
H: -2.58426 -3.32856 -1.95487  0.4541
H: -0.20997 0.81316 -5.53303  0.3812
C: 2.47013 -1.53541 -1.14940  -0.8737
H: -0.26113 1.58519 -3.18081  0.2473
H: 2.28301 -3.61011 -1.66524  0.4862
O: -2.01061 0.58145 -0.91369  0.8259
H: -7.76215 -0.78315 0.13907  0.4006
C: 3.76661 3.54583 -0.84569  -0.1508
H: 3.56198 0.78120 -0.85257  0.8785
Br: -2.30972 3.92881 -1.23317  -0.2809
H: 4.05419 0.52866 -5.34009  0.4344
Br: 0.46113 1.63456 2.30814  -0.5307
C: 3.10422 0.75200 -4.87125  -0.8130
C: 0.67976 1.34741 -3.65872  0.3694
H: 3.15809 1.15691 4.45227  0.3245
H: 3.07099 -5.96118 4.64073  0.3609
C: -2.47123 -0.74965 -0.99046  1.5002
C: -3.95393 -0.77720 -0.59750  0.1667
H: -2.17671 -0.70891 4.54661  0.4831
C: 3.33869 -4.92634 4.42308  -0.9681
C: 1.81040 -0.41536 -0.66999  0.4330
H: -0.12712 -3.68364 -1.03791  0.5478
H: -4.36991 0.90363 -1.85655  0.3715
S: 1.24726 -2.60272 2.59700  -0.3601
H: -2.07958 3.54554 1.21885  0.7645
H: 3.28640 -4.77394 3.34520  0.2519
H: 5.29592 4.97362 -0.37327  0.4224
H: 4.36623 -4.76296 4.75321  0.2958
C: 3.65393 5.88467 -1.40497  -0.5146
H: 3.51318 -1.45666 -1.42324  0.5649
C: 0.71450 0.91553 -4.97983  -0.5441
C: -2.49897 -2.59212 -2.74540  -0.1946
C: -4.50293 -1.70937 0.27056  0.1023
C: -3.80513 1.68329 1.46540  -0.4348
H: -4.67134 -0.07769 3.92147  0.2020
N: -4.21680 0.40241 3.16558  0.0480
C: 2.40703 5.67344 -1.98588  -0.8311
H: 5.43768 0.50173 5.29825  0.3572
C: -2.35344 -0.31722 -3.47652  -0.0974
H: 0.87405 4.24574 -2.43632  0.3187
H: 2.27089 -0.11637 2.86280  -0.3414
N: -2.64901 0.98743 1.75361  0.3905
C: -0.15835 -1.62992 -0.45216  -1.1191
C: 2.51749 0.91172 -0.57242  -2.3566
H: -1.69983 -1.21484 0.95497  -0.9556
H: -2.36445 -0.01206 -5.59708  0.6106
C: -6.69877 -0.77796 -0.06387  -0.6775
C: -1.60716 -1.61714 -0.05492  -0.8920
C: 2.25427 -1.91706 3.75638  0.3092
C: -2.38857 -0.74225 -4.79773  -1.0616
H: -6.27878 -2.43943 1.22387  0.4529
H: 2.47547 1.28839 0.45107  0.5452
C: -5.86806 -1.70548 0.54137  -0.9296
C: -2.05169 -0.77236 3.46436  -1.0488
-- stop --
churches; departure for next stop on our way to Brussels.
3. demonstration for the adaptation/reform of national drug policy
in the countries where we march through; assembling in Brussels.
4. presentation of petitions to the representatives of the European
and the European Commission.
March 'long duration'
This March goes entirely by foot to Brussels, or with non-motorized
means of transport, like monocycles, bicycles, tricycles, dogcarts,
scooters,etc. We have 2 small vans and will dispatch our own
cook-shop, first aid service and communications centre.
At night time debate will follow experts talks on the great issues
confronting the drugs peace movement. Subjects: Schengen - Coca -
Europe and its drugs - Different drugs and different users- The war
on drugs and the war in Bosnia : parallels - Users and Non-users :
what sort of cooperation? - Drugs Peace : utopia? - Drugs and Human
Rights - The war on drugs : a generation conflict - The world's
biggest drive of religious persecution.
Special demonstrations are planned at the arrival of the Brittisch
delegation in Calais, in front of the prison of Loos-les-Lilles and
at the french/belgian border.
Total expenses are estimated to amount to 100.000 fl.(one hundred
thousand dutch guilders) for : the March 'long duration' (1), a
participation of 5.000 fl. in the Marches 2/6 and for the organisa-
tion of the events in Brussels.
Estimate of revenues :
- sales of souvenirs 22.500 fl.
(10.000 buttons, 1000 T-shirts, 500 umbrellas)
- individual sponsoring of participants (1) 15.000 fl.
(300 participants x 50 fl. each)
- collective sponsoring by commercial interests 50.000 fl.
- donation by IRDRHR Drugs Peace Institute 12.500 fl.
Organizations in charge
Participating organsizations :
(1) Narcotic System (France)
(2) Legalise Cannabis Campaign and Release (England) and the
Belgische Cannabis Consumenten Bond (Belgium)
(3) Cannabis Detaillisten Bond and Nederlandse Cannabis Consumenten
Bond (The Netherlands)
(4) Jusos (Jung Sozialisten)(Germany)
(5) Génération Verte (Luxemburg), CIRC Thionville (France), Comité
Antiprohibitionniste Cannabique (Belgium)
(6) CIRC Ile de France and ASUD (France).
The final responsability rests with the European Cannabis Consumers
Organization (ECCO) and with the IRDRHR Drugs Peace Institute.
Tel. and fax + 31 20 691 5950, or 697 7951 or 623 0094.
Registration form (please send to DPH address)
Spuistraat 2 - 1012 TS Amsterdam - HOLLAND - Tel. 31 20 623 0094.
The undersigned ...................................................
living at .........................................................
herewith registers for the Drugs Peace March from Calais to Brussels
- August 25th - September 5th, for the following strech/es
(please mark the corresponding '0') :
1. The entire March (250 km) 0
2. One or more 25km parts of the March :
(a) Calais - Nordausques 0
(b) Nordausques - Racquinghem 0
(c) Racquinghem - Lillers 0
(d) Lillers - La Bassée 0
(e) La Bassée - Lille (Rijsel) 0
(f) Lille - Tournai (Doornik) 0
(g) Tournai - Wattripont 0
(h) Wattripont - Nederbrakel 0
(i) Nederbrakel - Ninove 0
(j) Ninove - Brussels 0
The costs for participation per person and per day amount to 50
french francs. The total amount to be paid equals the number of days
of participation in the march multiplied by this amount.
Please indicate below whether you are able to contribute for your
participation in the march. If affirmative, indicate the amount and
the way of payment.
3. The amount of my participation will be:...................FF
4. I can pay for (please read explanation on back, before answering)
(a) the total amount of my participation 0
(b) part of my participation: ................FF 0
and like you to pay the remainder ................FF 0
(c) an additional amount ................FF 0
5. Way of payment :
(a) by means of enclosed check 0
payable to : IRDRHR Drugs Peace Institute
reference : March
(b) CASH, at the start of the march 0
Give legs to our ideas
Let Drugs Peace March
The Drugs Peace March offers the participants the possiblity to
finance their participation and even those of other participants
(your uncle and aunt, daddy and your coffeeshop secret comrades)
through SPONSORS. So you can ask your grandaddy, your uncle and aunt
and those secret friends of yours to put up a fixed amount for every
mile, sorry it's kilometers here. You are even able to fix almost
any amount for every step you do towards peace.
For example, you decide to spend four days walking between Tournai
and Brussels (g to j on the map). That's four days of 25 kilometers
a day, and one of your sponsors who pays say 15 French Franks per
kilometer, will pay 1500 FF. Of course every registered sponsor will
receive a suitable souvenir. Because you can get as many sponsors as
you like, your sponsoring can amount to a higher sum than the one of
your participation, meaning even more legs to our Ideas of Peace.
1. Mr/Mrs .........................................................
address .........................................................
sponsors an amount of....... ..................................FF
2. Mr/Mrs .........................................................
address .........................................................
sponsors an amount of .................................FF
3. Mr/Mrs .........................................................
address ........................................................
sponsors an amount of .................................FF
4. Mr/Mrs .........................................................
address ........................................................
sponsors an amount of ........................................FF